Changing the Tax Structure

Family farms are businesses. Whether small or large, a farm cannot be moved. The family that is farming it will have to stay put if they want to continue to farm. But whenever a tax or fee is increased or imposed, it takes hard-earned money away from farmers and places it into the hands of politicians.

# Misplaced records of molecules
=====
(1)
{
  "formula": "C2H8NOS",
  "method": "wB97M-V/def2-TZVPD",
  "charge": -1,
  "gap_ev": 6.403,
  "e_homo_ev": -2.5,
  "energy_ev": -16577.4787,
  "species": ["C", "C", "S", "N", "H", "H", "H", "H", "H", "H", "H", "H", "O"],
  "positions_angstrom": [[1.34970, -0.40377, 0.06202], [0.37016, -0.79593, -1.04352], [-0.59372, 0.60139, -1.68441], [2.41320, 0.49408, -0.36376], [1.75319, -1.32517, 0.51508], [0.78852, 0.11604, 0.83525], [-0.25628, -1.60121, -0.67182], [0.92837, -1.26631, -1.87405], [1.90846, 1.28119, -0.77576], [2.92091, 0.03619, -1.11269], [-3.41134, 1.58537, 2.16054], [-3.98249, 0.25123, 1.70611], [-4.18870, 1.02690, 2.24702]]
}

(2)
{
  "formula": "C2H8NOS2",
  "method": "wB97M-V/def2-TZVPD",
  "charge": -1,
  "gap_ev": 5.969,
  "e_homo_ev": -3.0,
  "energy_ev": -27411.6598,
  "species": ["C", "S", "S", "H", "H", "H", "H", "N", "C", "O", "H", "H", "H", "H"],
  "positions_angstrom": [[1.01316, 0.92463, -0.29248], [1.81552, 1.31645, -1.84934], [3.27477, 2.61601, -1.28836], [1.67010, 0.55180, 0.49609], [0.16975, 0.12092, -0.52155], [0.46750, 1.77286, 0.18602], [2.77821, 3.74507, -1.79061], [-1.52950, -2.47641, 0.96213], [-1.64923, -1.01424, 0.82989], [-1.33852, -0.52105, -0.40266], [-2.32815, -2.89695, 0.48374], [-0.71217, -2.80396, 0.46539], [-2.70417, -0.78170, 1.15971], [-0.92726, -0.55342, 1.56202]]
}

(3)
{
  "formula": "C2H8NOSi",
  "method": "wB97M-V/def2-TZVPD",
  "charge": 1,
  "gap_ev": 12.211,
  "e_homo_ev": -15.7,
  "energy_ev": -13610.6969,
  "species": ["C", "C", "N", "O", "Si", "H", "H", "H", "H", "H", "H", "H", "H"],
  "positions_angstrom": [[1.41858, 2.19967, 2.51289], [-0.07348, 0.42762, -0.69053], [-0.61915, 0.94703, 0.62050], [2.38050, 2.67353, 2.77173], [0.84452, -1.39106, -0.53890], [0.66825, 1.20742, -0.99011], [-0.81929, 0.37095, -1.51327], [-0.85920, 0.15984, 1.21009], [-1.45357, 1.50868, 0.57713], [0.17352, 1.48124, 0.94680], [0.15527, -2.39736, -1.36847], [0.48269, -1.67109, 0.87054], [2.13583, -0.88273, -0.72838]]
}

(4)
{
  "formula": "C2H8NS",
  "method": "wB97M-V/def2-TZVPD",
  "charge": -1,
  "gap_ev": 6.579,
  "e_homo_ev": -2.5,
  "energy_ev": -14529.6062,
  "species": ["S", "H", "C", "C", "N", "H", "H", "H", "H", "H", "H", "H"],
  "positions_angstrom": [[1.73500, 0.21908, -1.59359], [2.48822, 0.20443, -2.72595], [-1.15244, 0.92157, 0.28889], [-0.66611, -0.40089, 0.99320], [-1.68668, -0.88850, 2.01982], [-2.18010, 0.84494, 0.28025], [-0.72712, 1.02390, -0.69804], [-0.81838, 1.80273, 0.85395], [0.20774, -0.13874, 1.58762], [-0.39512, -1.15833, 0.30589], [-1.22819, -1.64187, 2.58883], [-2.38898, -1.34694, 1.47366]]
}

(5)
{
  "formula": "C2H8NS2",
  "method": "wB97M-V/def2-TZVPD",
  "charge": 1,
  "gap_ev": 8.729,
  "e_homo_ev": -13.3,
  "energy_ev": -25356.8779,
  "species": ["C", "N", "H", "H", "H", "H", "C", "S", "S", "H", "H", "H", "H"],
=====

Taxes and Population Decline
In recent years, Illinois farmers have seen the reinstatement of the income tax rate at 4.95 percent; doubling of the gasoline tax from 19 to 38 cents a gallon; a vehicle registration fee increase from $101 to $151, and a significant increase in licensing fees on trucks, which many farmers find necessary to own in order to transport their crops. 

**What comes next are calculated molecules, not part of the entry**
+++
1.
Entry from the OMol25 dataset: 2 unconnected molecules or ions with the total composition C6H12O at a distorted geometry (wB97M-V/def2-TZVPD).

Its net charge is 0. As for the energy relative to the best compared isomer or geometry (same formula, charge and spin): 54.93 kcal per mole. For the HOMO-LUMO gap, the calculation gives 9.6 eV. The total energy is -8461.972 eV.

Each atom is followed by the atoms it is bonded to, with distances in Å.
Geometry (Å):
1 O -2.619 -0.269 0.907  H9 0.966, H11 0.972
2 C 1.137 0.609 -1.745  C3 1.530, C5 1.458, H8 1.108, H10 1.124
3 C 0.000 1.447 -2.336  C2 1.530, H15 1.151, H17 1.088, H19 1.090
4 C 0.184 -1.070 2.844  C6 1.357, H12 1.076, H16 1.086
5 C 0.631 -0.316 -0.739  C2 1.458, C7 1.339, H13 1.094
6 C -0.001 -1.235 1.510  C4 1.357, C7 1.483, H14 1.107
7 C 0.800 -0.395 0.588  C5 1.339, C6 1.483, H18 1.107
8 H 1.852 0.124 -2.438  C2 1.108
9 H -2.237 -0.683 1.691  O1 0.966
10 H 1.797 1.427 -1.345  C2 1.124
11 H -1.869 0.331 0.757  O1 0.972
12 H -0.446 -1.570 3.560  C4 1.076
13 H -0.183 -0.972 -1.063  C5 1.094
14 H -0.551 -2.057 1.013  C6 1.107
15 H -0.314 2.231 -1.554  C3 1.151
16 H 1.155 -0.676 3.128  C4 1.086
17 H -0.850 0.794 -2.519  C3 1.088
18 H 1.297 0.462 1.080  C7 1.107
19 H 0.215 1.821 -3.337  C3 1.090

2.
Entry from the OMol25 dataset: a single C6H12O molecule (wB97M-V/def2-TZVPD).

Its net charge is 0. As for the energy relative to the best compared isomer or geometry (same formula, charge and spin): 35.79 kcal per mole. For the HOMO-LUMO gap, the calculation gives 11.3 eV. The total energy is -8462.802 eV.

Each atom is followed by the atoms it is bonded to, with distances in Å.
Geometry (Å):
1 O -0.756 2.183 -0.089  C3 1.416, C6 1.426
2 C 0.638 0.110 -0.450  C5 1.544, C6 1.533, C7 1.539, H12 1.098
3 C -1.114 1.416 1.046  O1 1.416, C6 1.465, H15 1.089, H19 1.089
4 C 0.046 -1.798 1.196  C7 1.529, H13 1.096, H16 1.097, H17 1.096
5 C 0.576 0.544 -1.931  C2 1.544, H9 1.092, H11 1.093, H14 1.095
6 C 0.214 1.283 0.441  O1 1.426, C2 1.533, C3 1.465, H18 1.092
7 C -0.137 -1.196 -0.198  C2 1.539, C4 1.529, H8 1.098, H10 1.098
8 H 0.197 -1.931 -0.944  C7 1.098
9 H 0.147 1.545 -2.014  C5 1.092
10 H -1.204 -1.035 -0.399  C7 1.098
11 H 1.566 0.553 -2.393  C5 1.093
12 H 1.682 -0.104 -0.189  C2 1.098
13 H -0.295 -1.120 1.987  C4 1.096
14 H -0.065 -0.129 -2.511  C5 1.095
15 H -1.865 0.650 0.860  C3 1.089
16 H 1.101 -2.028 1.391  C4 1.097
17 H -0.520 -2.731 1.298  C4 1.096
18 H 1.035 1.812 0.930  C6 1.092
+++

Since farmers cannot move their farms, they are locked into paying property taxes, and as homeowners know, Illinois has one of the highest property tax rates in the nation. They are also paying taxes on machine sheds, livestock buildings and grain bins—all necessities for a successful farm operation. And now, citizens face the “Illinois Fair Tax,” a proposal to change the state income tax system to a progressive, or graduated income tax.

Illinois currently has a flat income tax, which means everyone pays the same rate. If you earn more, you pay more. Illinois is one of nine states with a flat income tax rate. Thirty-two states have a progressive income tax, seven states have no income tax, while two states exclusively tax dividends and interest income.

2019 marked the sixth consecutive year of population decline in Illinois. Of the five fastest-growing states in population over the last 10 years, three have no income tax and two have a flat tax. Of the five states that have lost the most population, four have a progressive tax and just one has a flat tax (that is Illinois). In general, people are moving to states with no income tax or a flat tax. 

A Constitutional Decision
On November 3, voters will decide whether or not to change the Illinois Constitution and empower elected officials to decide who is taxed and how much. The proposed amendment is being marketed as reducing or keeping taxes the same for 97 percent of Illinois taxpayers. But the lowest tax bracket under the proposal is 4.75 percent (versus the current 4.95 percent). There would be no limit on the number of tax brackets, nor how high rates could be increased on individual taxpayers.

We need businesses and people to stay in Illinois. They are a cornerstone in supplying the foundation of jobs and our state’s resources. But those who will see higher tax rates are the wealthy, who have the resources to move out of Illinois and reset their foundation in a state with lower taxes where they can make progress. 

The article is interrupted by records of molecules =
********
--- one ---
{"formula": "CH3O3S2", "method": "ωB97M-V/def2-TZVPD", "symbols": ["C", "O", "O", "O", "S", "S", "H", "H", "H"], "coordinates": [[-0.82146, -0.09919, -0.09871], [-3.64075, -0.11594, -1.22380], [-3.34810, 0.81352, 1.00714], [1.39039, 1.36507, 0.36440], [-0.16776, 1.56400, -0.27301], [-3.00441, -0.27648, 0.09615], [-0.31636, -0.63346, -0.92515], [-0.38951, -0.50305, 0.91742], [1.52776, 1.58602, 1.34827]], "lowdin_charge": [-0.6353, -0.5753, -0.5714, -0.5812, 0.6912, 0.5902, -0.0125, 0.0388, 0.0557], "charge": -1}



--- two ---
{"formula": "CH3O3S2", "method": "ωB97M-V/def2-TZVPD", "symbols": ["C", "S", "O", "S", "O", "O", "H", "H", "H"], "coordinates": [[-1.76099, 0.67934, -0.15870], [-0.47380, -0.04083, -0.89027], [-0.29138, -1.78263, -0.30653], [2.03286, 0.10851, -0.19795], [2.00003, -0.75743, 0.95403], [2.45606, 1.47307, 0.14950], [-2.62666, 0.56282, -0.65496], [-1.69488, 1.59531, 0.58026], [0.35876, -1.83816, 0.52462]], "lowdin_charge": [-0.5507, 0.6273, -0.5810, 0.6522, -0.5283, -0.5268, -0.1215, 0.0121, 0.0167], "charge": -1}



Most stable: one (next structure +15.7 kcal/mol)



--- one ---
{"formula": "C2H6NS", "method": "ωB97M-V/def2-TZVPD", "symbols": ["S", "H", "C", "C", "N", "H", "H", "H", "H", "H"], "coordinates": [[-1.65307, 2.14615, 0.55733], [-2.46880, 2.53283, 1.53557], [1.48455, -1.07077, -0.80595], [0.58011, -0.17409, -0.36312], [-0.40125, -0.44581, 0.59649], [1.63280, -2.06012, -0.31920], [2.11324, -0.86475, -1.71717], [0.54826, 0.83596, -0.80441], [-0.82925, -1.38149, 0.47835], [-1.00658, 0.48211, 0.84212]], "mulliken_spin": [0.8179, -0.0139, 0.0631, -0.0281, 0.2056, -0.0016, 0.0004, 0.0063, -0.0131, -0.0365], "multiplicity": 2, "s2": 0.76}



--- two ---
{"formula": "C2H6NS", "method": "ωB97M-V/def2-TZVPD", "symbols": ["S", "H", "C", "C", "N", "H", "H", "H", "H", "H"], "coordinates": [[-2.03623, -0.28170, 0.21998], [-1.89235, -1.22830, 1.16173], [1.29404, 1.11239, 0.66215], [1.36921, -0.64329, -0.84310], [1.95072, 0.36750, -0.37536], [0.28407, 0.73484, 0.90267], [1.12997, 2.15213, 0.35445], [1.93465, 1.14082, 1.53488], [1.90314, -1.21622, -1.59255], [0.33957, -0.97511, -0.63101]], "mulliken_spin": [0.9905, -0.0212, 0.0163, -0.0066, 0.0258, -0.0045, -0.0017, 0.0000, 0.0059, -0.0046], "multiplicity": 2, "s2": 0.75}



Most stable: two (next structure +11.1 kcal/mol)



--- one ---
********

Farmers are staying in Illinois. They have to stay. But they want the opportunity to choose how they put money back into the local economy. Higher fuel taxes, property taxes, licensing fees, trucking fees, and now another proposed income tax hike will trickle down and affect all of us. This constitutional change would further empower politicians in Springfield to selectively tax and spend more of our hard-earned dollars. In a free society, the people that earn a dollar should be able to spend that dollar as they choose. PM